Job.
Next, restate the lines below from the one with "geometry-optimized Fe2HgAuO" to the one with "0.143 0.175" without altering anything.
File.
____________
DFT (PBE+U) results for a geometry-optimized Fe2HgAuO structure.

Cell: 5.2474 5.2474 4.0988 Å, 90.00 90.00 90.00°
Last column: nearest neighbours and their distance in Å.
Space group P4/mmm (No. 123)
Asymmetric unit:
1 Fe 0.0000 0.5000 0.0000 (multiplicity 2)  2 Hg 2.62
2 Hg 0.0000 0.0000 0.0000 (multiplicity 1)  2 O 2.05
3 Au 0.5000 0.5000 0.5000 (multiplicity 1)  8 Fe 3.33, 4 O 3.71
4 O 0.0000 0.0000 0.5000 (multiplicity 1)  2 Hg 2.05

## Properties
The calculation puts the size of the total moment at 1.603 μB/atom. As for the total energy: -2.989 eV/atom.


A relaxed structure of Sm2Y2CI4Br. Source: the Open Quantum Materials Database, functional PBE.

Lattice parameters (Å, degrees): 9.758 9.758 8.458 102.26 102.26 23.42
Fractional coordinates of all 10 atoms:
Sm: 0.132 0.132 0.066
Sm: 0.868 0.868 0.934
Y: 0.500 0.500 0.196
Y: 0.500 0.500 0.804
C: 0.000 0.000 0.000
I: 0.334 0.334 0.193
I: 0.338 0.338 0.646
I: 0.662 0.662 0.354
I: 0.666 0.666 0.807
Br: 0.000 0.000 0.500

Output
Its space group is C2/m. As for the energy relative to the lowest polymorph listed for this composition: 0.0152 eV per atom.

A relaxed structure of Sm2Y2CI4Br. Source: the Open Quantum Materials Database, functional PBE.

Lattice parameters (Å, degrees): 9.885 9.885 8.451 101.88 101.88 23.23
Fractional coordinates of all 10 atoms:
Sm: 0.001 0.001 0.298
Sm: 0.999 0.999 0.702
Y: 0.372 0.372 0.437
Y: 0.628 0.628 0.563
C: 0.500 0.500 0.500
I: 0.165 0.165 0.842
I: 0.169 0.169 0.322
I: 0.831 0.831 0.678
I: 0.835 0.835 0.158
Br: 0.500 0.500 0.000

Output
Its space group is C2/m. As for the energy relative to the lowest polymorph listed for this composition: 0.0000 eV per atom.

A relaxed structure of K2IrCBr5O. Source: the Open Quantum Materials Database, functional PBE.

Lattice parameters (Å, degrees): 14.455 10.701 7.369 90.00 90.00 90.00
Fractional coordinates of all 40 atoms:
K: 0.146 0.001 0.153
K: 0.146 0.499 0.153
K: 0.354 0.501 0.653
K: 0.354 0.999 0.653
K: 0.646 0.001 0.347
K: 0.646 0.499 0.347
K: 0.854 0.501 0.847
K: 0.854 0.999 0.847
Ir: 0.121 0.750 0.701
Ir: 0.379 0.250 0.201
Ir: 0.621 0.750 0.799
Ir: 0.879 0.250 0.299
C: 0.054 0.250 0.577
C: 0.446 0.750 0.077
C: 0.554 0.250 0.923
C: 0.946 0.750 0.423
Br: 0.013 0.750 0.972
Br: 0.118 0.515 0.697
Br: 0.118 0.985 0.697
Br: 0.225 0.750 0.429
Br: 0.245 0.250 0.401
Br: 0.255 0.750 0.901
Br: 0.275 0.250 0.929
Br: 0.382 0.015 0.197
Br: 0.382 0.485 0.197
Br: 0.487 0.250 0.472
Br: 0.513 0.750 0.528
Br: 0.618 0.515 0.803
Br: 0.618 0.985 0.803
Br: 0.725 0.750 0.071
Br: 0.745 0.250 0.099
Br: 0.755 0.750 0.599
Br: 0.775 0.250 0.571
Br: 0.882 0.015 0.303
Br: 0.882 0.485 0.303
Br: 0.987 0.250 0.028
O: 0.007 0.750 0.526
O: 0.493 0.250 0.026
O: 0.507 0.750 0.974
O: 0.993 0.250 0.474

Output
The raw total energy comes out at -4.157 eV/atom. Its space group is Pnma.

A relaxed structure of K2OsCBr5O. Source: the Open Quantum Materials Database, functional PBE.

Lattice parameters (Å, degrees): 14.477 7.375 10.747 90.00 90.00 90.00
Fractional coordinates of all 40 atoms:
K: 0.143 0.175 0.000
K: 0.145 0.173 0.500
K: 0.355 0.673 0.000
K: 0.357 0.675 0.500
K: 0.643 0.325 0.000
K: 0.645 0.327 0.500
K: 0.855 0.827 0.000
K: 0.857 0.825 0.500
Os: 0.114 0.690 0.749
Os: 0.386 0.190 0.249
Os: 0.614 0.810 0.749
Os: 0.886 0.310 0.249
C: 0.020 0.522 0.749
C: 0.480 0.022 0.249
C: 0.520 0.978 0.749
C: 0.980 0.478 0.249
Br: 0.004 0.959 0.750
Br: 0.113 0.695 0.983
Br: 0.117 0.703 0.515
Br: 0.230 0.435 0.748
Br: 0.247 0.417 0.253
Br: 0.253 0.917 0.753
Br: 0.270 0.935 0.248
Br: 0.383 0.203 0.015
Br: 0.387 0.195 0.483
Br: 0.496 0.459 0.250
Br: 0.504 0.541 0.750
Br: 0.613 0.805 0.983
Br: 0.617 0.797 0.515
Br: 0.730 0.065 0.748
Br: 0.747 0.083 0.253
Br: 0.753 0.583 0.753
Br: 0.770 0.565 0.248
Br: 0.883 0.297 0.015
Br: 0.887 0.305 0.483
Br: 0.996 0.041 0.250
____________
Done.
DFT (PBE+U) results for a geometry-optimized Fe2HgAuO structure.

Cell: 5.2474 5.2474 4.0988 Å, 90.00 90.00 90.00°
Last column: nearest neighbours and their distance in Å.
Space group P4/mmm (No. 123)
Asymmetric unit:
1 Fe 0.0000 0.5000 0.0000 (multiplicity 2)  2 Hg 2.62
2 Hg 0.0000 0.0000 0.0000 (multiplicity 1)  2 O 2.05
3 Au 0.5000 0.5000 0.5000 (multiplicity 1)  8 Fe 3.33, 4 O 3.71
4 O 0.0000 0.0000 0.5000 (multiplicity 1)  2 Hg 2.05

## Properties
The calculation puts the size of the total moment at 1.603 μB/atom. As for the total energy: -2.989 eV/atom.


A relaxed structure of Sm2Y2CI4Br. Source: the Open Quantum Materials Database, functional PBE.

Lattice parameters (Å, degrees): 9.758 9.758 8.458 102.26 102.26 23.42
Fractional coordinates of all 10 atoms:
Sm: 0.132 0.132 0.066
Sm: 0.868 0.868 0.934
Y: 0.500 0.500 0.196
Y: 0.500 0.500 0.804
C: 0.000 0.000 0.000
I: 0.334 0.334 0.193
I: 0.338 0.338 0.646
I: 0.662 0.662 0.354
I: 0.666 0.666 0.807
Br: 0.000 0.000 0.500

Output
Its space group is C2/m. As for the energy relative to the lowest polymorph listed for this composition: 0.0152 eV per atom.

A relaxed structure of Sm2Y2CI4Br. Source: the Open Quantum Materials Database, functional PBE.

Lattice parameters (Å, degrees): 9.885 9.885 8.451 101.88 101.88 23.23
Fractional coordinates of all 10 atoms:
Sm: 0.001 0.001 0.298
Sm: 0.999 0.999 0.702
Y: 0.372 0.372 0.437
Y: 0.628 0.628 0.563
C: 0.500 0.500 0.500
I: 0.165 0.165 0.842
I: 0.169 0.169 0.322
I: 0.831 0.831 0.678
I: 0.835 0.835 0.158
Br: 0.500 0.500 0.000

Output
Its space group is C2/m. As for the energy relative to the lowest polymorph listed for this composition: 0.0000 eV per atom.

A relaxed structure of K2IrCBr5O. Source: the Open Quantum Materials Database, functional PBE.

Lattice parameters (Å, degrees): 14.455 10.701 7.369 90.00 90.00 90.00
Fractional coordinates of all 40 atoms:
K: 0.146 0.001 0.153
K: 0.146 0.499 0.153
K: 0.354 0.501 0.653
K: 0.354 0.999 0.653
K: 0.646 0.001 0.347
K: 0.646 0.499 0.347
K: 0.854 0.501 0.847
K: 0.854 0.999 0.847
Ir: 0.121 0.750 0.701
Ir: 0.379 0.250 0.201
Ir: 0.621 0.750 0.799
Ir: 0.879 0.250 0.299
C: 0.054 0.250 0.577
C: 0.446 0.750 0.077
C: 0.554 0.250 0.923
C: 0.946 0.750 0.423
Br: 0.013 0.750 0.972
Br: 0.118 0.515 0.697
Br: 0.118 0.985 0.697
Br: 0.225 0.750 0.429
Br: 0.245 0.250 0.401
Br: 0.255 0.750 0.901
Br: 0.275 0.250 0.929
Br: 0.382 0.015 0.197
Br: 0.382 0.485 0.197
Br: 0.487 0.250 0.472
Br: 0.513 0.750 0.528
Br: 0.618 0.515 0.803
Br: 0.618 0.985 0.803
Br: 0.725 0.750 0.071
Br: 0.745 0.250 0.099
Br: 0.755 0.750 0.599
Br: 0.775 0.250 0.571
Br: 0.882 0.015 0.303
Br: 0.882 0.485 0.303
Br: 0.987 0.250 0.028
O: 0.007 0.750 0.526
O: 0.493 0.250 0.026
O: 0.507 0.750 0.974
O: 0.993 0.250 0.474

Output
The raw total energy comes out at -4.157 eV/atom. Its space group is Pnma.

A relaxed structure of K2OsCBr5O. Source: the Open Quantum Materials Database, functional PBE.

Lattice parameters (Å, degrees): 14.477 7.375 10.747 90.00 90.00 90.00
Fractional coordinates of all 40 atoms:
K: 0.143 0.175 0.000